What is needed: restate the block below with every line break kept.

........
Below is the molecule C5H10O, with properties calculated with the ωB97M-V functional and the def2-TZVPD basis.

Positions of all 16 atoms, in Å:
C (1.36552, -0.93603, 0.00311)
C (0.35756, -0.06029, 0.64814)
C (0.36829, 1.42251, 0.23271)
C (-1.04752, 1.10573, -0.32190)
C (-1.07110, -0.40651, 0.05388)
O (-1.23650, -1.24856, -1.10132)
H (1.12647, -1.95862, 0.30212)
H (1.22811, -0.84829, -1.08245)
H (2.38921, -0.68480, 0.26617)
H (0.26692, -0.11708, 1.73556)
H (0.42496, 2.17994, 1.03664)
H (1.14801, 1.71752, -0.49576)
H (-1.80613, 1.71089, 0.14879)
H (-1.01747, 1.14894, -1.40528)
H (-1.62042, -0.90304, 0.86870)
H (-0.85771, -2.11829, -0.89959)

Summary:
HOMO: -9.259 eV
Lowest unoccupied orbital energy: 1.0 eV
SMILES: C[C@H]1CC[C@H]1O
Strongest force on any atom: 1.43 eV Å⁻¹
Net charge: 0
Relative energy (zero: lowest compared OMol25 entry of this formula, charge and spin): 38.7 kcal/mol
Energy: -7393.087 eV
Gap between HOMO and LUMO: 10.2 eV

---

Below is the molecule C5H10O, with properties calculated with the ωB97M-V functional and the def2-TZVPD basis.

Positions of all 16 atoms, in Å:
C (2.06927, 1.45593, 0.53981)
C (1.04836, 0.59444, -0.19663)
C (-1.05282, -1.04960, -0.83737)
C (-2.02662, -2.17054, -0.62144)
C (-0.34739, 0.84923, 0.36773)
O (-1.32794, -0.16600, 0.08890)
H (2.09052, 1.20451, 1.60490)
H (1.84131, 2.52412, 0.46674)
H (3.08170, 1.30673, 0.15334)
H (1.28645, -0.46385, -0.05688)
H (1.08518, 0.77019, -1.27545)
H (-2.54902, -2.45240, -1.53638)
H (-1.40380, -3.04647, -0.40334)
H (-2.74292, -2.01970, 0.19411)
H (-0.75568, 1.81442, 0.05029)
H (-0.29660, 0.84900, 1.46166)

Summary:
HOMO: -8.242 eV
Lowest unoccupied orbital energy: 1.1 eV
Strongest force on any atom: 0.63 eV Å⁻¹
Net charge: 0
Relative energy (zero: lowest compared OMol25 entry of this formula, charge and spin): 67.1 kcal/mol
Energy: -7391.856 eV
Gap between HOMO and LUMO: 9.3 eV

---

Below is the molecule C5H10O, with properties calculated with the ωB97M-V functional and the def2-TZVPD basis.

Positions of all 16 atoms, in Å:
C (-1.13415, -0.97295, -1.10871)
C (-0.50978, -0.42472, 0.17304)
C (1.02922, -0.56783, 0.18411)
C (1.50698, 0.81841, 0.61656)
O (0.54115, 1.70795, 0.09064)
C (-0.71335, 1.10065, 0.33694)
H (-0.90194, -2.03712, -1.24103)
H (-2.22426, -0.85937, -1.10105)
H (-0.74497, -0.43130, -1.98021)
H (-0.94145, -0.94505, 1.03560)
H (1.37650, -1.36076, 0.85307)
H (1.38550, -0.79366, -0.82919)
H (2.48331, 1.09594, 0.21160)
H (1.54888, 0.89625, 1.71757)
H (-1.06112, 1.34368, 1.35433)
H (-1.43023, 1.51304, -0.37936)

Summary:
HOMO: -9.717 eV
Lowest unoccupied orbital energy: 1.1 eV
SMILES: C[C@H]1CCOC1
Strongest force on any atom: 0.28 eV Å⁻¹
Net charge: 0
Relative energy (zero: lowest compared OMol25 entry of this formula, charge and spin): 10.3 kcal/mol
Energy: -7394.317 eV
Gap between HOMO and LUMO: 10.8 eV

---

Below is the molecule C5H10O, with properties calculated with the ωB97M-V functional and the def2-TZVPD basis.

Positions of all 16 atoms, in Å:
C (0.80558, 1.02787, 0.96985)
C (-0.53734, 0.53978, 0.44967)
C (-0.93229, 1.08652, -0.93216)
O (-0.69896, -0.18379, -1.55683)
C (-0.55796, -0.82656, -0.27487)
C (0.64858, -1.73783, -0.20767)
H (1.13465, 0.45218, 1.84240)
H (0.73874, 2.07923, 1.27127)
H (1.57961, 0.95034, 0.19845)
H (-1.30388, 0.63831, 1.22542)
H (-0.28647, 1.87607, -1.34101)
H (-1.98077, 1.40017, -1.02953)
H (-1.46984, -1.39512, -0.03823)
H (0.46812, -2.66149, -0.76576)
H (0.87285, -2.00589, 0.83127)
H (1.51938, -1.23979, -0.64228)

Summary:
HOMO: -9.539 eV
Lowest unoccupied orbital energy: 1.1 eV
SMILES: C[C@@H]1OC[C@@H]1C
Strongest force on any atom: 0.38 eV Å⁻¹
Net charge: 0
Relative energy (zero: lowest compared OMol25 entry of this formula, charge and spin): 24.8 kcal/mol
Energy: -7393.689 eV
Gap between HOMO and LUMO: 10.7 eV

---

Below is a cluster of 3 separate species, C5H10O in total, with properties calculated with the ωB97M-V functional and the def2-TZVPD basis.

Positions of all 16 atoms, in Å:
........

Below is the molecule C5H10O, with properties calculated with the ωB97M-V functional and the def2-TZVPD basis.

Positions of all 16 atoms, in Å:
C (1.36552, -0.93603, 0.00311)
C (0.35756, -0.06029, 0.64814)
C (0.36829, 1.42251, 0.23271)
C (-1.04752, 1.10573, -0.32190)
C (-1.07110, -0.40651, 0.05388)
O (-1.23650, -1.24856, -1.10132)
H (1.12647, -1.95862, 0.30212)
H (1.22811, -0.84829, -1.08245)
H (2.38921, -0.68480, 0.26617)
H (0.26692, -0.11708, 1.73556)
H (0.42496, 2.17994, 1.03664)
H (1.14801, 1.71752, -0.49576)
H (-1.80613, 1.71089, 0.14879)
H (-1.01747, 1.14894, -1.40528)
H (-1.62042, -0.90304, 0.86870)
H (-0.85771, -2.11829, -0.89959)

Summary:
HOMO: -9.259 eV
Lowest unoccupied orbital energy: 1.0 eV
SMILES: C[C@H]1CC[C@H]1O
Strongest force on any atom: 1.43 eV Å⁻¹
Net charge: 0
Relative energy (zero: lowest compared OMol25 entry of this formula, charge and spin): 38.7 kcal/mol
Energy: -7393.087 eV
Gap between HOMO and LUMO: 10.2 eV

---

Below is the molecule C5H10O, with properties calculated with the ωB97M-V functional and the def2-TZVPD basis.

Positions of all 16 atoms, in Å:
C (2.06927, 1.45593, 0.53981)
C (1.04836, 0.59444, -0.19663)
C (-1.05282, -1.04960, -0.83737)
C (-2.02662, -2.17054, -0.62144)
C (-0.34739, 0.84923, 0.36773)
O (-1.32794, -0.16600, 0.08890)
H (2.09052, 1.20451, 1.60490)
H (1.84131, 2.52412, 0.46674)
H (3.08170, 1.30673, 0.15334)
H (1.28645, -0.46385, -0.05688)
H (1.08518, 0.77019, -1.27545)
H (-2.54902, -2.45240, -1.53638)
H (-1.40380, -3.04647, -0.40334)
H (-2.74292, -2.01970, 0.19411)
H (-0.75568, 1.81442, 0.05029)
H (-0.29660, 0.84900, 1.46166)

Summary:
HOMO: -8.242 eV
Lowest unoccupied orbital energy: 1.1 eV
Strongest force on any atom: 0.63 eV Å⁻¹
Net charge: 0
Relative energy (zero: lowest compared OMol25 entry of this formula, charge and spin): 67.1 kcal/mol
Energy: -7391.856 eV
Gap between HOMO and LUMO: 9.3 eV

---

Below is the molecule C5H10O, with properties calculated with the ωB97M-V functional and the def2-TZVPD basis.

Positions of all 16 atoms, in Å:
C (-1.13415, -0.97295, -1.10871)
C (-0.50978, -0.42472, 0.17304)
C (1.02922, -0.56783, 0.18411)
C (1.50698, 0.81841, 0.61656)
O (0.54115, 1.70795, 0.09064)
C (-0.71335, 1.10065, 0.33694)
H (-0.90194, -2.03712, -1.24103)
H (-2.22426, -0.85937, -1.10105)
H (-0.74497, -0.43130, -1.98021)
H (-0.94145, -0.94505, 1.03560)
H (1.37650, -1.36076, 0.85307)
H (1.38550, -0.79366, -0.82919)
H (2.48331, 1.09594, 0.21160)
H (1.54888, 0.89625, 1.71757)
H (-1.06112, 1.34368, 1.35433)
H (-1.43023, 1.51304, -0.37936)

Summary:
HOMO: -9.717 eV
Lowest unoccupied orbital energy: 1.1 eV
SMILES: C[C@H]1CCOC1
Strongest force on any atom: 0.28 eV Å⁻¹
Net charge: 0
Relative energy (zero: lowest compared OMol25 entry of this formula, charge and spin): 10.3 kcal/mol
Energy: -7394.317 eV
Gap between HOMO and LUMO: 10.8 eV

---

Below is the molecule C5H10O, with properties calculated with the ωB97M-V functional and the def2-TZVPD basis.

Positions of all 16 atoms, in Å:
C (0.80558, 1.02787, 0.96985)
C (-0.53734, 0.53978, 0.44967)
C (-0.93229, 1.08652, -0.93216)
O (-0.69896, -0.18379, -1.55683)
C (-0.55796, -0.82656, -0.27487)
C (0.64858, -1.73783, -0.20767)
H (1.13465, 0.45218, 1.84240)
H (0.73874, 2.07923, 1.27127)
H (1.57961, 0.95034, 0.19845)
H (-1.30388, 0.63831, 1.22542)
H (-0.28647, 1.87607, -1.34101)
H (-1.98077, 1.40017, -1.02953)
H (-1.46984, -1.39512, -0.03823)
H (0.46812, -2.66149, -0.76576)
H (0.87285, -2.00589, 0.83127)
H (1.51938, -1.23979, -0.64228)

Summary:
HOMO: -9.539 eV
Lowest unoccupied orbital energy: 1.1 eV
SMILES: C[C@@H]1OC[C@@H]1C
Strongest force on any atom: 0.38 eV Å⁻¹
Net charge: 0
Relative energy (zero: lowest compared OMol25 entry of this formula, charge and spin): 24.8 kcal/mol
Energy: -7393.689 eV
Gap between HOMO and LUMO: 10.7 eV

---

Below is a cluster of 3 separate species, C5H10O in total, with properties calculated with the ωB97M-V functional and the def2-TZVPD basis.

Positions of all 16 atoms, in Å: